8 reviews liked by OmniversalKnight



Nice artstyle and interesting concept. Majority of the game is played by taking photos of different things from different perspectives or solving puzzles. Relaxing pace, great chill out game.

Music is a highlight, actually went and found the soundtrack afterwards to play in the background around the house.

Short game and easy Platinum Trophy. I ended up completing it and then immediately jumping into the Basto DLC and finishing it in the same day.

Octopath Traveler II not only surpasses the original game, but improves so much that it makes the first game seem like a proof of concept. The combat was definitely the best part of the original game and that's the thing that is arguably changed the least, but that's not bad at all! The shield break system remains one of the most addicting and fun system in any turn based RPG, on the same level as Shin Megami Tensei's press turn. It's even better than the original with fixed balancing and the addition of character's talent gauges that give each character a unique meter move, some I used far more than others but they were all very interesting.

[Attached: records of crystals]
- - -
# GdPuN

An optimized crystal structure of GdPuN (GGA-PBE, the Alexandria database).

Values from the calculation:
E above lowest polymorph	0.198	eV/atom
energy relative to the elements, uncorrected	-1.85	eV per formula unit

Cell: 3.3120 3.3120 6.8644 Å, 103.96 103.96 90.00°
Fractional positions:
Gd  0.1955  0.1955  0.3911
Pu  0.9121  0.9121  0.8242
N  0.7423  0.7423  0.4847

=====

# GdPuN

An optimized crystal structure of GdPuN (GGA-PBE, the Alexandria database).

Values from the calculation:
E above lowest polymorph	0.000	eV/atom
energy relative to the elements, uncorrected	-2.44	eV per formula unit

Cell: 6.1111 3.4773 3.4773 Å, 120.00 90.00 90.00°
Fractional positions:
N  0.3301  0.3333  0.6667
Gd  0.5620  0.6667  0.3333
Pu  0.1079  0.0000  0.0000

=====

# GdPuN

An optimized crystal structure of GdPuN (GGA-PBE, the Alexandria database).

Values from the calculation:
E above lowest polymorph	0.617	eV/atom
energy relative to the elements, uncorrected	-0.59	eV per formula unit

Cell: 4.2690 4.2690 4.2690 Å, 60.00 60.00 60.00°
Fractional positions:
N  0.2500  0.2500  0.2500
Gd  0.5000  0.5000  0.5000
Pu  0.0000  0.0000  0.0000

=====

# GdPuN2

An optimized crystal structure of GdPuN2 (GGA-PBE, the Alexandria database).

Values from the calculation:
energy relative to the elements, uncorrected	-5.63	eV per formula unit

Cell: 3.5058 3.5058 6.0394 Å, 73.13 73.13 60.00°
Fractional positions:
N  0.2545  0.2545  0.2366
N  0.7455  0.7455  0.7634
Gd  0.5000  0.5000  0.5000
Pu  0.0000  0.0000  0.0000

=====

# Gd2ReN

An optimized crystal structure of Gd2ReN (GGA-PBE, the Alexandria database).

Values from the calculation:
energy relative to the elements, uncorrected	0.10	eV per formula unit

Cell: 3.2581 3.2581 8.6219 Å, 79.11 79.11 60.00°
Fractional positions:
Re  0.0000  0.0000  0.0000
Gd  0.1092  0.1092  0.6724
Gd  0.8908  0.8908  0.3276
N  0.5000  0.5000  0.5000

=====

# GdReN2

An optimized crystal structure of GdReN2 (GGA-PBE, the Alexandria database).

Values from the calculation:
energy relative to the elements, uncorrected	0.50	eV per formula unit

Cell: 3.3576 3.3576 6.3796 Å, 74.74 74.74 60.00°
Fractional positions:
Re  0.5000  0.5000  0.5000
Gd  0.0000  0.0000  0.0000
N  0.1226  0.1226  0.6322
N  0.8774  0.8774  0.3678

=====

| no. | total moment (μB/atom) | calculated volume (Å³/cell) |
| --- | --- | --- |
| 1 | 4.58 | 70.8 |
| 2 | 4.43 | 64.0 |
| 3 | 0.42 | 55.0 |
| 4 | 0.58 | 60.6 |
| 5 | 3.49 | 77.4 |
| 6 | 1.95 | 59.3 |


# 1
VASP calculation (GGA-PBE) on an optimized crystal structure of RbThB4.

a = 5.8494 Å, b = 5.8494 Å, c = 5.8494 Å
α = 148.84°, β = 94.44°, γ = 93.83°
Closest atoms and distances in Å follow each position.
Sites, in units of the cell vectors:
Th  0.5000  0.5000  0.0000  12 B 2.97-3.09, 2 Th 3.14
B  0.4922  0.7599  0.7323  2 B 1.60
B  0.5078  0.2401  0.2677  2 B 1.60
B  0.9723  0.2401  0.7323  2 B 1.60
B  0.0277  0.7599  0.2677  2 B 1.60
Rb  0.0000  0.0000  0.0000  12 B 2.86-3.19, 2 Rb 3.14
- - -

The major improvement on the original is the stories and characters, the original had good stories but pretty generic fantasy tropes. The stories are much improved now with different chapter structures, less obvious stories, and a better cast of characters than the original. There's also a lot more traveler interactions than in the original with the major contributor being the cross paths chapters between two travelers, all really fun that build relationships between the characters. The XP gain was also a massive fix than the original, with A LOT less grinding required which is a welcome addition since the game still took me 75 hours to beat.

The visuals also are a MASSIVE improvement over the original, I thought the original looked nice but HOLY SHIT this game just ups the visuals even more with my full and complete environments. The visuals are also helped by more variety in areas and more unique areas to explore, goes from generic area types like grass and snow to old western desert, European folklore inspired forests, Feudal Japan, and literally just fucking London. This also applies to the dungeons and battle backgrounds, which repeat themes a lot less and some are actually notable now. Also, worth mentioning the music still fucks hard, like there is no bad music track in the entire fucking game.

(SPOILERS IN THIS SECTION) My only real complaint is the final chapter, not that it was bad or anything but some characters from the main story were just randomly evil the whole time and it didn't feel natural at all.

Overall, Octopath II is one of the best turn based RPGs I have ever played with fun gameplay, stories, characters, visuals, and music and any big fan of the genre should pick up this game immediately.

A nearly perfect open-world high stakes movement shooter with amazing naval combat. The progression systems still feel lacking, but that hasn't stopped me from logging over 600 hours. The hand to hand pvp combat is by far the weakest part of the game. Riddled with extremely powerful animation cancels and exploits that aren't explained in game. However, Rare has started to patch out these problems one by one and the pvp looks to be heading in the right direction.

A candidate for Pokemon's strongest spinoff, hell if someone said this was their favorite Pokemon game in general I'd (if not quite agreeing) respect it

This game kind of fucking sucks, but also really doesn't. I have been a big defender of this game since day 1 man, when it was basically in hospice before the DLC and updates. FFXV is such an intensely flawed experience it's almost unbelievable how enjoyable it is in comparison. The overall story sucks, a lot of the quests suck, the combat and world design can suck so much, but it's the pathos man. It is the healthy brotherly friendship between 4 guys who love each other. It's the nicknames, it's the team up attacks, the bickering, the growth, it's everything having to do with the core of the game. The writing of the main cast truly is special. With the presentation and with the chemistry between these 4, FFXV gets away with a ton of shortcomings. A lot of "better" games than FFXV say a lot less, and that's all there is to it.



i have 100 % on the game the koroks are just as bad as botw.